Introduction to shareware
As the Internet becomes ubiquitous, a quiet revolution is taking place in the software industry. New enterprises are arising out of nowhere and rapidly gaining dominance in emerging market segments by freely distributing their products. The old players are rethinking and revising their assumptions, distributing software demos and updates online.
A major part of this revolution is shareware. Shareware also means demoware, trial software, crippleware and often, exactly the same in practice as commercial software. The basic principle is simple - allow the product to be distributed and used freely but make it incomplete in some way. The customer can then purchase the missing element, be it a registration code, extra piece of software, some documentation or simply a clear conscience.
This guide is aimed mainly at individuals who are considering becoming shareware developers. If you have an idea about how to improve the computing experience and either know or are willing to learn a programming language, I encourage you to develop and release your idea as shareware. It's not easy to get started, but if you are creative, intelligent and pay attention to detail, you might just find a way to earn a comfortable living while enjoying the lifestyle of your dreams.
Gideon Greenspan
Sig Software
Shareware users are happy campers
As with any business, the most important element is the customer. So why do many computer users prefer to download and buy shareware instead of commercial software?
A small commercial software utility can cost twice as much as a comparable piece of shareware. The extra money for commercial products goes into the manual, CD, box, mail-order advertising, delivery, wholesale and/or retail markup. None of these costs is involved with shareware. Furthermore, the user has the satisfaction of knowing that their money is going directly to the programmers who they trust to maintain and upgrade that software.
In a world where new technologies are emerging at an accelerating pace, software that is distributed and sold over the Internet is in an ideal position to keep up. While large commercial software firms spend months developing product specifications and business plans, a shareware author will often respond to a user's suggestion by releasing an upgrade within a few days.
Getting technical support for commercial software often involves having to phone a technical support line, wait in a queue and sometimes even pay for the privilege. By contrast, most shareware authors offer unlimited email-based technical support. The customer can expect to receive an informative reply directly from the people who know how the software works.
Shareware developers lead fulfilling lives
So you have an idea for some software. Why should you develop it as shareware instead of telling your boss?
Shareware offers you a risk free way to unleash your product and see what happens. If people like it and pay for it, you'll improve it at your own pace, in your own time. If not, you've lost time but no money. Either way, you get the chance to be your own boss, totally in control of every aspect your product and, if you're lucky, make a million.
Don't believe the naysayers - there is serious money to be made in the shareware business. You may not sell as many copies as you would through mail order catalogs but you will receive almost all of the income. The only commission you will pay is to a payment processing or online delivery company. Sig Software uses Kagi who take about 10%.
Creating shareware usually involves working on your own or with a very small group of colleagues. So all the usual advantages of self employment apply - no one can fire you, you can take holidays when you want and the only deadlines are your own. Since all you need to run your business is a portable computer, you can do it from anywhere in the world - for example, I ran Sig Software entirely out of a backpack while traveling for 2 months in the Far East. But I wouldn't recommend quitting your day job until your shareware income is high enough and steady - in fact, it's best to get started while you're studying.
It has becoming depressingly easy to copy commercial software by sending it through email or burning CDs. By contrast, shareware makes no attempt to restrict its distribution and copying is encouraged. You should provide people with registration codes which are personalized - so if they want to pass on their code, they have to pass on their name, address and email address too.
Step 1 - Writing a program
Naturally, the first thing you need to do is create a piece of software. Here's what you need:
- An idea - great if you've got a completely original one, otherwise it should at least be a new way of approaching an old problem. Try and avoid competing head-on in a field which is already well catered for - you will spend all your time trying to keep up with the competition instead of innovating.
Unrelated to this text: records of molecules >
+++
78
Properties=species:S:1:pos:R:3:forces:R:3:lowdin_charge:R:1 method="wB97M-V/def2-TZVPD" total_charge=+1 energy_ev=-73469.1339 orbital_gap_ev=7.6820
Bi 0.205795 0.305496 0.056045 -0.234 -0.083 -0.159 1.556
S -0.410666 -2.243871 -0.085348 0.126 0.094 0.364 0.615
S 6.817034 -1.653962 6.255142 -0.291 0.166 0.155 1.019
P -1.121689 -1.467777 -2.649909 0.163 0.149 -1.584 0.965
O 7.245844 -3.061975 4.074015 0.363 -0.182 -0.177 0.042
O -0.356405 -2.641869 1.353544 0.289 -0.851 0.510 -0.591
N -2.127617 1.733319 -0.011355 0.054 -0.208 -0.435 -0.148
N -1.252173 -0.176444 1.898588 0.253 -0.356 -0.072 -0.228
N 1.185622 -2.353788 -0.801884 -0.250 0.355 0.231 -0.331
N -0.013246 2.315235 1.670760 0.363 -0.069 -0.224 -0.182
C 0.666277 -2.812380 -4.521585 -0.009 0.194 0.112 -0.101
C 0.578798 -2.080804 -3.183687 -0.158 -0.075 0.105 -0.491
C -1.159455 0.033800 -5.265542 0.079 0.028 0.202 -0.107
C 5.063321 -0.027426 4.943544 -0.030 -0.109 0.001 -0.087
C -0.953932 0.561839 3.112080 0.028 0.433 0.233 -0.169
C 3.549233 -2.134870 3.932777 0.004 0.059 -0.027 -0.006
C 7.755105 -2.628019 5.065724 -0.497 0.206 -0.021 -0.732
C -3.121913 1.115987 0.849582 -0.181 -0.465 0.260 -0.181
C -3.330073 -3.037114 -2.074276 0.158 -0.127 -0.047 -0.135
C 9.184994 -2.752523 5.476845 0.207 -0.211 -0.103 -0.072
C -0.443876 3.402561 0.805745 -0.191 0.280 -0.081 -0.214
C -2.219132 -2.927645 -3.122221 0.034 0.355 0.341 -0.530
C -0.806390 2.074616 2.867359 -0.088 -0.360 0.249 -0.163
C -1.465346 0.021992 -3.773444 0.119 -0.299 0.402 -0.549
C -2.627716 -0.220278 1.432452 -0.357 0.249 -0.064 -0.189
C 4.037614 0.228643 4.059471 -0.066 -0.019 -0.054 -0.027
C 4.576081 -2.389347 4.822397 -0.096 0.058 -0.003 -0.078
C -2.910642 0.459805 -3.520378 0.175 0.036 0.042 -0.135
C 3.302070 -0.827348 3.513770 0.350 -0.036 0.400 -0.251
C -2.801452 -2.956770 -4.530706 0.219 -0.032 0.088 -0.100
C 5.353873 -1.340186 5.291056 0.412 -0.114 0.209 -0.516
C 1.157755 -3.003748 -2.096802 -0.009 -0.010 -0.521 -0.326
C -1.847159 3.144699 0.195937 0.288 0.394 0.203 -0.190
C 1.640325 -0.239576 1.571500 0.256 -0.190 0.113 -0.275
C 2.365146 -0.545108 2.489676 -0.153 0.170 -0.324 -0.106
H -0.471787 4.361025 1.337561 0.044 0.000 -0.113 0.126
H 1.778037 -2.841633 -0.141583 0.083 0.070 0.261 0.087
H 3.830570 1.244318 3.751481 -0.023 0.008 -0.037 0.114
H -3.534030 -2.166616 -4.666391 -0.082 0.094 -0.063 0.066
H -2.297740 1.518607 -0.985328 -0.195 0.147 0.026 0.077
H -1.721821 0.391849 3.872550 0.033 -0.027 0.029 0.135
H 1.711482 -3.011716 -4.753559 0.075 -0.054 -0.085 0.086
H -0.912885 -1.161111 2.001601 -0.137 0.325 0.083 0.042
H -2.032681 -2.858005 -5.290477 0.018 -0.002 -0.115 0.057
H -3.919685 -3.934336 -2.249796 -0.114 -0.091 0.007 0.082
H 5.657636 0.781389 5.337850 0.111 0.065 0.021 0.107
H -1.781607 2.540598 2.749678 0.018 0.077 0.009 0.104
H 0.582016 -3.940223 -2.064524 0.030 0.011 -0.070 0.114
H 0.000655 0.181850 3.477416 -0.159 -0.023 0.071 0.106
H 2.187172 -3.258636 -2.369714 -0.093 0.003 0.034 0.130
+++
Back to the text >
- A computer - pick up an old Macintosh or PC for just a few hundred dollars, or buy something newer if you can afford it. Most of the time you will be editing text.
**Inserted here: data records**
- - -
Record 1
Below is a structure of composition C30H51N3PPdSSi in a non-equilibrium geometry, with properties calculated with wB97M-V/def2-TZVPD.

Geometry as XYZ:
```
88
Properties=species:S:1:pos:R:3:forces:R:3
Pd -0.61350 1.09990 0.80290 -1.2 -0.8 -0.1
N 3.20350 -0.84950 1.42220 -0.3 -0.2 0.7
C 4.01340 -0.53040 0.33010 0.5 0.3 -0.7
C 5.38380 -0.39440 0.49220 -0.2 0.0 0.0
C 6.17660 -0.04410 -0.58700 0.0 0.0 -0.1
C 5.60490 0.19750 -1.82500 0.1 0.0 0.0
C 4.23380 0.07320 -1.99270 0.0 0.0 0.1
C 3.44570 -0.30640 -0.92200 -0.3 -0.2 0.3
S 1.69020 -0.55090 -1.05800 0.6 -0.2 -0.2
N 1.20090 -0.11170 0.48790 0.9 -1.1 1.3
C 1.93010 -0.34700 1.53650 0.0 -0.2 -2.1
C 1.37370 -0.07210 2.85590 -0.7 0.3 1.5
C 2.12210 -0.20010 4.03150 -0.1 0.0 -0.6
C 1.52910 0.04530 5.25290 -0.6 0.1 0.1
C 0.18550 0.39950 5.28190 0.5 -0.1 0.0
C -0.48460 0.53340 4.07750 -0.1 0.0 0.2
N 0.08190 0.32790 2.89820 0.5 -0.5 -0.1
H 3.69700 -1.09300 2.26570 -0.1 0.1 -0.1
H 5.81860 -0.57350 1.46420 0.1 0.0 0.1
H 7.24350 0.03810 -0.45570 0.1 0.0 0.0
H 6.22520 0.47150 -2.66350 0.1 0.0 -0.1
H 3.77920 0.23330 -2.95730 -0.1 0.1 -0.2
H 3.16700 -0.46010 4.00180 0.1 -0.1 0.0
H 2.09870 -0.03830 6.16600 0.0 0.0 0.1
H -0.32930 0.58560 6.20850 -0.1 0.0 0.1
H -1.53130 0.80310 4.06490 0.0 0.1 0.0
C 1.57780 4.14090 -2.79140 0.1 -0.1 0.0
C 1.45440 2.75930 -2.16440 -0.3 0.1 0.1
P 0.83260 2.68470 -0.42030 0.7 1.1 -0.3
C 2.38930 3.08290 0.49870 -0.2 -0.1 -0.1
C 2.09160 3.27620 1.98090 0.1 -0.1 0.0
C -0.17980 4.19040 -0.02780 0.1 -0.2 -0.2
C -1.11950 3.82140 1.12640 0.0 0.4 -0.1
H 2.04630 4.03760 -3.76930 0.0 0.2 -0.1
H 2.20130 4.79520 -2.18800 0.1 0.1 0.0
H 0.60870 4.61520 -2.92380 -0.1 0.0 0.0
H 2.44050 2.28270 -2.13350 -0.2 -0.1 0.0
H 0.79980 2.12330 -2.76660 0.1 0.0 0.0
H 2.82580 3.98250 0.05620 0.1 -0.1 0.0
H 3.09480 2.25950 0.34840 0.0 0.0 -0.1
H 1.67700 4.26350 2.16830 -0.1 0.0 0.1
H 2.98750 3.17020 2.58830 0.1 0.0 0.1
H 1.36430 2.52890 2.31320 0.1 0.1 0.1
H -0.75610 4.46060 -0.91510 0.0 0.0 0.0
H 0.46130 5.03490 0.23390 -0.1 0.0 -0.1
H -1.30300 2.69430 1.11330 -0.8 1.2 0.3
H -2.06960 4.34290 1.03830 -0.1 -0.1 0.1
H -0.68760 4.07350 2.09550 0.0 -0.2 0.0
C -1.78540 -0.13340 -2.35490 0.0 0.0 0.3
C -2.88370 0.64610 -1.62790 0.2 -0.1 0.8
C -4.24670 0.31140 -2.22960 0.0 0.0 0.3
C -2.60120 2.12980 -1.87890 0.1 -0.1 0.3
Si -2.81200 0.20840 0.34120 -0.3 -0.4 -0.3
C -2.62400 -1.76060 0.67800 0.1 0.8 0.0
C -2.88450 -2.13890 2.13670 -0.1 0.2 -0.1
C -1.19610 -2.21430 0.36300 -0.1 0.2 0.1
C -3.60030 -2.52500 -0.21190 0.0 0.3 0.0
C -4.33060 1.01550 1.37170 0.7 -0.1 -0.3
C -3.96700 1.12950 2.85430 0.2 -0.1 -0.2
C -4.68250 2.42390 0.88800 0.1 -0.1 -0.1
C -5.58500 0.15510 1.21970 0.2 -0.1 -0.1
H -1.70560 0.20980 -3.38470 0.0 0.1 -0.2
H -1.98560 -1.19900 -2.37990 0.0 -0.2 0.0
H -0.82250 0.03630 -1.86710 0.1 0.0 -0.1
H -4.20580 0.44290 -3.31030 0.0 0.0 -0.2
H -5.01750 0.97550 -1.84700 -0.2 0.0 0.0
H -4.54420 -0.71290 -2.03290 -0.1 -0.2 0.0
H -2.69810 2.33670 -2.94420 0.0 0.0 -0.2
H -1.58040 2.36770 -1.57330 0.0 0.1 -0.1
- - -
- A development tool - I use MetroWerks CodeWarrior C/C++ for both Macintosh and Windows development. The Mac tools are superb and the Windows ones could use some refinement but they work fine. Apple's Xcode is a promising new C/C++ development environment for Mac OS X. There are many Windows C/C++ development tools, available from Borland, Symantec and Microsoft. If you're looking for shorter development times and don't mind the odd rough edge, you should also consider REALbasic for Mac, Visual Basic for Windows, or Revolution for Mac, Windows and Linux.
- Tutorials - for Macintosh, the CodeWarrior development system comes with some excellent sample online books. For Windows, I recommend Programming Windows by Charles Petzold. For general programming guidelines, check out Writing Solid Code by Steve Maguire and Code Complete by Steve McConnell. For user-interface advice, take a look at About Face by Alan Cooper or User Interface Design for Programmers by Joel Spolsky.
- Documentation - once you know what you're doing, you will have many specific, detailed questions on particular APIs and system features. For Macintosh, check out Apple's Developer Connection site. For Windows, look up the Microsoft Developer Network. A lot of useful tidbits can also be picked up from mailing list archives or Google's Usenet archive.
Step 2 - Creating a product
Once you've created the program, you need to turn it into something that can sell.
- Test - test every aspect of your software as you write it - don't wait until the end to see if it all hangs together. Once you can't find any more bugs, get some beta testers by advertising on newsgroups or mailing lists. Alternatively, you can release a beta of your product publicly, but those who download it are more likely to trash it when the first problem appears than tell you about it. Software should be tested under all platforms for which you claim compatibility, even if their market share is small. Many bugs only appear under particular versions of the operating system.
- Documentation - you will need clear, comprehensive documentation, in the relevant formats for Mac or Windows. ToolTips are a great way to make your software easy to use for newcomers. You might also want to produce a tutorial, some sample documents or a FAQ (frequently asked questions) page.
• Next to the piece, the page also holds quantum chemistry results:
-- begin --
C29H20AsClF8NPPd | ωB97M-V with the def2-TZVPD basis set

The geometry in XYZ format:
```
62
Properties=species:S:1:pos:R:3:forces:R:3:lowdin_charge:R:1
Pd -0.9840 0.3384 1.0625 0.4 0.1 0.3 0.854
Cl -1.4110 2.5029 0.1539 0.1 0.0 0.0 0.897
C -1.2302 2.5293 -1.5864 0.0 0.0 -0.1 -0.572
C -1.8459 3.5520 -2.2653 0.0 0.0 0.1 -0.039
C -1.7690 3.5657 -3.6576 0.0 0.0 0.0 0.029
C -1.1030 2.5609 -4.3476 0.0 0.0 0.0 0.000
C -0.5019 1.5248 -3.6557 0.0 0.0 0.0 -0.030
C -0.5400 1.5106 -2.2480 -0.1 0.0 0.1 -0.373
P 0.3647 0.2337 -1.4558 0.1 0.1 -0.1 1.247
C 1.8841 0.6623 -0.7264 -0.1 0.0 0.0 -0.354
C 2.4018 1.9439 -0.9825 0.0 0.1 0.0 -0.040
C 3.6380 2.2843 -0.4640 0.0 0.0 0.0 -0.014
C 4.3430 1.3663 0.3080 0.0 0.0 0.0 0.009
C 3.8181 0.0999 0.5822 0.0 0.0 0.0 -0.025
C 2.5870 -0.2560 0.0775 0.0 0.0 0.0 -0.087
C 0.1229 -1.3045 -2.1437 0.0 0.0 0.1 -0.326
C -1.1492 -1.5428 -2.7350 0.0 0.0 -0.1 -0.056
C -1.3802 -2.7358 -3.3757 0.0 0.0 0.0 0.005
C -0.3710 -3.6969 -3.4233 0.0 0.0 0.0 0.048
C 0.8852 -3.4776 -2.8375 0.0 0.0 0.0 -0.008
C 1.1404 -2.2992 -2.1886 0.1 0.0 0.0 -0.028
H -2.4061 4.3095 -1.7332 0.0 0.0 0.0 0.139
H -2.2586 4.3635 -4.2009 0.0 0.0 0.0 0.143
H -1.0600 2.5762 -5.4280 0.0 0.0 0.0 0.138
H 0.0155 0.7435 -4.1980 0.0 0.0 0.0 0.131
H 1.8613 2.6463 -1.6049 0.0 0.0 0.0 0.124
H 4.0628 3.2558 -0.6782 0.0 0.0 0.0 0.135
H 5.3181 1.6344 0.6953 0.0 0.0 0.0 0.136
H 4.3852 -0.6031 1.1780 0.0 0.0 0.0 0.131
H 2.1660 -1.2302 0.2974 0.0 0.0 0.0 0.114
H -1.9331 -0.8022 -2.6680 0.0 0.0 0.0 0.093
H -2.3439 -2.9297 -3.8265 0.0 0.0 0.0 0.140
H -0.5578 -4.6366 -3.9288 0.0 0.0 0.0 0.142
H 1.6545 -4.2334 -2.9169 0.0 0.0 0.0 0.135
H 2.1210 -2.1068 -1.7756 0.0 0.0 0.0 0.111
F 2.4991 3.7449 3.2135 0.1 0.1 0.0 0.207
C 1.9556 2.5681 3.2598 0.0 0.0 0.0 -0.200
C 0.9850 2.2609 2.2814 -0.1 -0.1 -0.1 -0.020
C 0.3991 1.0319 2.2971 -0.2 0.0 -0.1 -0.164
C 0.7699 0.0816 3.3240 0.1 0.1 0.0 -0.039
C 1.7815 0.4610 4.2687 0.0 0.1 0.0 -0.169
F 2.1585 -0.4135 5.1721 0.0 0.0 0.1 0.164
C 2.3715 1.6872 4.2581 0.0 -0.1 0.1 0.142
C 0.0546 -1.1412 3.3447 -0.1 -0.1 0.1 -0.163
C 0.1065 -2.1415 4.3269 0.0 -0.1 0.0 0.094
C -0.7712 -3.2204 4.2561 0.0 0.0 0.0 0.035
C -1.6769 -3.2841 3.2208 0.0 0.0 0.0 0.066
C -1.6775 -2.2715 2.2416 0.0 0.0 -0.1 -0.024
N -0.8349 -1.2615 2.3004 0.0 0.2 -0.2 0.001
H 0.7480 3.0346 1.5650 0.0 0.0 0.0 0.095
H 3.1218 1.9657 4.9871 0.0 0.0 0.0 0.169
H 0.8003 -2.0647 5.1483 0.0 0.0 0.0 0.135
H -0.7485 -3.9866 5.0199 0.0 0.0 0.0 0.145
H -2.3960 -4.0881 3.1391 0.0 0.0 0.0 0.146
H -2.3798 -2.2877 1.4159 0.1 0.0 0.1 0.101
F -2.1590 -0.8553 -0.2012 0.0 -0.1 -0.3 -0.429
As -4.0374 -0.4143 -0.3618 -0.1 -0.4 0.4 0.800
F -3.9906 -1.3465 -1.7945 -0.1 0.0 0.0 -0.190
F -3.4164 0.9249 -1.2534 -0.1 0.2 -0.2 -0.238
F -5.6414 0.0593 -0.4166 0.1 0.0 -0.1 -0.135
F -3.6545 0.4422 1.1115 -0.2 0.1 0.0 -0.275
F -4.2920 -1.8350 0.5728 0.1 0.1 -0.1 -0.204
```
Positions in Å, forces in eV/Å.

Summary:
**Spin multiplicity**: 2
**Net charge**: +3
**HOMO level (spin up / spin down)**: -18.21 / -18.37 eV
-- stop --
- Payment - how are you going to encourage people to pay for the software? What are they going to get when they do pay? The answer can range from pure shareware (where it's all based on trust), through crippleware (important features missing), demoware (save and print disabled), expireware (time limited version) and many other variations. Consider the decision carefully - it will largely determine your level of income.
- Submit - get your product in a place people will notice. For both Macintosh and Windows, check out Download.Com, Tucows and VersionTracker. Other good Macintosh places are Info-Mac, AMUG and MacUpdate. For Windows, look at SimTel.Net and WinSite.
Step 3 - Building a business
Now your product is on the market, you need to ensure you maximize its earning potential.
- Publicity - think about all the ways in which you heard about the software that you use. The most valuable publicity machine is word-of-mouth, so make sure your product is reliable and you treat your customers well. Other budget ways of gaining publicity include sending your program to magazines for reviews, sending press releases to relevant web sites (there are tons of these for the Mac) about your releases and advertising on Google AdWords.
- Patience - don't expect to make much money immediately. It can take time for your program to get disseminated through the Internet, talked about, recommended and purchased. For example, it took 6 months for the first check for the first release of my first program (NameCleaner 1.0) to arrive and another year before it was selling in serious quantities.
- Web site - every serious shareware operation needs a web site. You can begin with something free on GeoCities but when the time is right you should invest in a properly-hosted domain name. Sig Software gets excellent service from Pair Networks and their prices are rock-bottom.
- Easy payments - more people will purchase your product if they can do so using a credit card rather than having to mail a check. So it is worth signing up with one of the many online payment processing firms. Sig Software uses Kagi to process payments - they are honest and good value.
- Customer database - once things start moving, you are not going to want to process each sale by hand. You should obtain or build an order processing system, which scans the sale details, creates a record in a database and sends out the license code. You should also expect to have to resend license codes to customers who have lost or did not receive them. Sig Software's system runs using Claris Emailer, HyperCard and FileMaker Pro, linked together using AppleScript running on Mac OS 9.
- Keep at it - if you stop upgrading your product, your income will eventually drop back down to zero. So you should listen carefully to user suggestions and implement the best ones in new versions. It is also important to diversify and write several different types of program. If something happens in the market to render one product useless (e.g. a new OS version including the functionality you were selling), you will want others to fall back on.
Other Resources
Many shareware authors have written personal testimonials which are full of encouragement and advice on how to achieve success in the shareware business. These include:
Some other useful resources on the web are: